WhatsApp users had been told they’d have to accept its new privacy policy by today in order to keep using the hugely-successful chat app. Thankfully, for those concerned about the implications of the new small-print from parent company Facebook, that’s no longer the case. That’s because Facebook decided to push back the deadline from February 8, 2021 for three months following a backlash around the new terms. So, if you’re still thinking about whether to continue using the app – you now have until May 15 to make a decision and either agree to the latest privacy policy or close your account.
A number of users had voiced concerned WhatsApp’s new policy was designed to expand data-sharing with parent company Facebook. While this is somewhat true – it only applies to a very limited scenario (and doesn’t apply at all to WhatsApp users living in the UK). The latest privacy policy, which will impact more than two billion users worldwide, will share a limited amount of data with Facebook when users send a message to a business account within WhatsApp. Any conversations between friends and family will remain safely locked away behind end-to-end encryption – where nobody at WhatsApp can see the contents.
The chat app has long tried to monetise its business by pushing companies to communicate to customers using WhatsApp as it’s more familiar than online chat windows with customer service representatives. It also has more functionality built-in, including the ability to send photos, videos, documents and more. Since messaging a business account within WhatsApp is completely optional, WhatsApp states that users won’t see any impact from the new privacy policy unless they start a chat with a company.
As stated above, WhatsApp users in Europe and the UK won’t see any changes (although they will still need to agree to an updated privacy policy) thanks to the tougher data protection rules in the European Union that the United States. However, it’s worth noting that Facebook is already able to see some data from WhatsApp users. For example, when registering for a WhatsApp account, your mobile phone number is sent to the parent company. Facebook is also able to see your mobile device information, including the brand and model of device that you’re using to access WhatsApp.
WhatsApp decided to give users more time to consider the new changes following reports of millions of chat app users fleeing the platform. WhatsApp plummeted from its podium-place in the App Store charts in the days following the original privacy policy announcement, while secure chat rival Telegram has reported millions of new users joining the platform in the days after WhatsApp shared its new small-print with users, while so many users flooded Signal that its messaging app went offline for hours.
In a blog post about its decision to reschedule the deadline, WhatsApp said: “WhatsApp was built on a simple idea: what you share with your friends and family stays between you. This means we will always protect your personal conversations with end-to-end encryption so that neither WhatsApp nor Facebook can see these private messages. It’s why we don’t keep logs of who everyone’s messaging or calling. We also can’t see your shared location and we don’t share your contacts with Facebook. With these updates, none of that is changing.
+++
MgTe2Mo2W2Se4S2 | the Materials Project database | PBE | relaxed; energy = -83.78 eV/cell; ΔE_f = -0.541 eV per atom; distance to the lowest polymorph of the same formula = 0.064 eV per formula unit; space group = P3m1 (156)
1.0
3.3382 0.0000 0.0000
-1.6691 2.8910 0.0000
0.0000 0.0000 45.1823
Mg Te Mo W Se S
1 2 2 2 4 2
Direct
0.0000 0.0000 0.0000 Mg
0.6667 0.3333 0.6782 Te
0.6667 0.3333 0.7622 Te
0.3333 0.6667 0.7202 Mo
0.6667 0.3333 0.9028 Mo
0.3333 0.6667 0.1046 W
0.6667 0.3333 0.2845 W
0.3333 0.6667 0.2473 Se
0.3333 0.6667 0.3216 Se
0.3333 0.6667 0.8661 Se
0.3333 0.6667 0.9404 Se
0.6667 0.3333 0.0709 S
0.6667 0.3333 0.1382 S

LuInO6 | the Materials Project database | PBE | relaxed; energy = -92.55 eV/cell; ΔE_f = -1.285 eV per atom; space group = C2/m (12)
1.0
5.1574 -3.7069 0.0000
5.1574 3.7069 0.0000
-5.1303 0.0000 5.3136
Lu In O
2 2 12
Direct
0.0000 0.5000 0.0000 Lu
0.5000 0.0000 0.0000 Lu
0.0000 0.5000 0.5000 In
0.5000 0.0000 0.5000 In
0.0967 0.8974 0.8157 O
0.1026 0.9033 0.1843 O
0.2201 0.5822 0.3971 O
0.3099 0.3099 0.9054 O
0.3313 0.3313 0.7275 O
0.4178 0.7799 0.6029 O
0.5822 0.2201 0.3971 O
0.6687 0.6687 0.2725 O
0.6901 0.6901 0.0946 O
0.7799 0.4178 0.6029 O
0.8974 0.0967 0.8157 O
0.9033 0.1026 0.1843 O

Na2Nb5In3Si6S6O48 | the Materials Project database | PBE | relaxed; energy = -1496.07 eV/cell; ΔE_f = -2.506 eV per atom; space group = P1 (1)
1.0
8.9186 0.0000 0.0000
0.0678 15.4585 0.0000
0.0196 0.0627 23.1979
Na Nb In Si S O
6 15 9 18 18 144
Direct
0.0000 0.0000 0.0000 Na
0.0013 0.3402 0.3401 Na
0.4792 0.8398 0.8450 Na
0.4832 0.8375 0.3391 Na
0.4904 0.5052 0.5001 Na
0.9920 0.3318 0.8380 Na
0.9997 0.6772 0.0266 Nb
0.0069 0.6695 0.3142 Nb
0.4711 0.1675 0.8078 Nb
0.4818 0.1713 0.3088 Nb
0.4818 0.5025 0.1443 Nb
0.4831 0.1749 0.0213 Nb
0.4846 0.1675 0.5195 Nb
0.4852 0.8294 0.1838 Nb
0.4886 0.4980 0.8639 Nb
0.5024 0.8380 0.6883 Nb
0.9760 0.0076 0.6492 Nb
0.9774 0.3309 0.1920 Nb
0.9778 0.3447 0.6918 Nb
0.9847 0.0106 0.3648 Nb
0.9904 0.6706 0.5247 Nb
0.4673 0.5079 0.3528 In
0.4731 0.8362 0.9803 In
0.4907 0.8398 0.4784 In
0.4984 0.4999 0.6495 In
0.9815 0.0029 0.1516 In
0.9856 0.3378 0.9821 In
0.9915 0.3445 0.4787 In
0.9906 0.6744 0.8153 In
0.9919 0.0094 0.8543 In
0.1263 0.1498 0.7494 Si
0.1332 0.8139 0.4190 Si
0.1361 0.5258 0.4196 Si
0.1947 0.8457 0.0841 Si
0.2001 0.1752 0.4163 Si
0.2760 0.6733 0.9157 Si
0.3349 0.3098 0.9167 Si
0.3416 0.3617 0.2502 Si
0.3427 0.0256 0.9178 Si
0.3478 0.6486 0.2504 Si
0.6244 0.0273 0.4154 Si
0.6251 0.3606 0.7539 Si
0.6343 0.6907 0.0814 Si
0.6994 0.3366 0.0829 Si
0.7008 0.0045 0.7555 Si
0.7814 0.8388 0.5813 Si
0.8378 0.4825 0.5815 Si
0.8428 0.1435 0.2524 Si
0.1304 0.4823 0.0851 S
0.1333 0.1927 0.0849 S
0.1345 0.8590 0.7486 S
0.2003 0.5054 0.7512 S
0.2792 0.0027 0.2523 S
0.2794 0.3366 0.5844 S
0.3405 0.9832 0.5854 S
0.3433 0.6929 0.5852 S
0.6282 0.3134 0.4172 S
0.6308 0.9838 0.0836 S
0.6329 0.6503 0.7531 S
0.7043 0.6683 0.4171 S
0.7709 0.1710 0.9181 S
0.7765 0.5056 0.2510 S
0.8388 0.8583 0.2539 S
+++
WhatsApp Web is much more secure thanks to the latest update
“Instead, the update includes new options people will have to message a business on WhatsApp, and provides further transparency about how we collect and use data. While not everyone shops with a business on WhatsApp today, we think that more people will choose to do so in the future and it’s important people are aware of these services.
“This update does not expand our ability to share data with Facebook. We’re now moving back the date on which people will be asked to review and accept the terms. No one will have their account suspended or deleted on February 8. We’re also going to do a lot more to clear up the misinformation around how privacy and security works on WhatsApp. We’ll then go to people gradually to review the policy at their own pace before new business options are available on May 15.”
So, while you’ll ultimately still have to decide whether you’re happy to continue using WhatsApp …you now have a little longer to consider this. If you’re decided to ditch the app, you can find our recommendations of the best WhatsApp alternatives out there.
Published at Mon, 08 Feb 2021 07:21:00 +0000
WhatsApp fans worried about deadline to agree to new terms don’t need to fret …yet